"The FBI crime statistics and other reputable studies show that the vast majority of homicides are intraracial, not interracial as suggested."
That was NEVER SUGGESTED by anything I wrote above. I spoke about the homicide rates for black males and black females being much higher than every other ethnic/gender pair. The only comment I made on the victims was that it was mainly Democrats killing Democrats. Given most of these killings occur in deep blue -------- cities, it is usually black Democrat killing black Democrat.
"The claim about Black-on-white crime rates is not supported by evidence. FBI data from 2019 shows that of white victims, about 17% were killed by Black offenders, not the 81% claimed."
No such claim was ever made. However, if you actually want to inform people, why don't you tell us of number of incidents of white perpetrator / black victim in the case of the rape and then the inverse?
"It's also important to note that various socioeconomic factors influence crime statistics and should not be used to make broad generalizations about racial groups or political affiliations."
Sure they do. Which is why murder rate in the US is almost 100% correlated with the % of black population by county.
"IOW, your reality does not align with the evidence and data in the real world.
/*
[1]
Computed X-ray powder pattern of VOsS for a wavelength of 1.5418 Å, from a structure optimized by DFT (GGA-PBE).
Kinematic intensities with the Lorentz-polarization factor, no thermal factor.

Most intense lines, 5 to 70 degrees two-theta, by angle:
11.1°, I 100, (2 0 0); 22.2°, I 9, (4 0 0); 35.2°, I 8, (5 1 0); 38.1°, I 17, (1 1 1); 41.4°, I 28, (3 1 -1); 43.0°, I 11, (0 2 0); 45.1°, I 11, (7 1 0); 47.5°, I 17, (5 1 1)

Atomic structure:
Cell lengths 16.009, 4.204, 2.907 Å; angles 90.00, 90.12, 90.00 degrees
Space group Cm (No. 8)
Inequivalent atoms, fractional coordinates:
V1 0.000 0.000 0.000 x2
V2 0.241 0.500 0.496 x2
Os1 0.099 0.500 0.002 x2
Os2 0.145 0.000 0.502 x2
S1 0.348 0.500 0.998 x2
S2 0.481 0.000 0.499 x2


[2]
Computed X-ray powder pattern of RbTiAg2F8 for a wavelength of 1.5418 Å, from a structure optimized by DFT (GGA-PBE).
Kinematic intensities with the Lorentz-polarization factor, no thermal factor.

Most intense lines, 5 to 70 degrees two-theta, by angle:
24.1°, I 93, (1 -1 0); 24.9°, I 100, (1 1 0); 27.2°, I 66, (0 1 -2); 28.5°, I 35, (1 0 -2); 30.2°, I 51, (0 1 2); 30.7°, I 28, (1 0 2); 37.5°, I 30, (2 0 -1); 43.4°, I 34, (1 -2 2)

Atomic structure:
Cell lengths 4.938, 5.418, 7.687 Å; angles 96.15, 94.11, 91.42 degrees
Space group P-1 (No. 2)
Inequivalent atoms, fractional coordinates:
Rb1 0.000 0.000 0.000 x1
Ti1 0.000 0.000 0.500 x1
Ag1 0.436 0.484 0.763 x2
F1 0.139 0.796 0.316 x2
F2 0.179 0.815 0.668 x2
F3 0.303 0.232 0.515 x2
F4 0.487 0.266 0.995 x2


[3]
Computed X-ray powder pattern of NaTlHg2Pb for a wavelength of 1.5418 Å, from a structure optimized by DFT (GGA-PBE).
Kinematic intensities with the Lorentz-polarization factor, no thermal factor.

Most intense lines, 5 to 70 degrees two-theta, by angle:
13.2°, I 31, (0 0 1); 20.0°, I 20, (1 0 0); 24.1°, I 50, (0 1 1); 33.6°, I 100, (0 1 2); 35.1°, I 92, (1 1 0); 49.4°, I 35, (2 0 2); 59.1°, I 21, (1 0 4); 62.0°, I 35, (1 2 2)

Atomic structure:
Cell lengths 5.1140, 5.1140, 6.6834 Å; angles 90.00, 90.00, 120.00 degrees
Space group P3m1 (No. 156)
Inequivalent atoms, fractional coordinates:
Na1 0.0000 0.0000 0.0000 x1
Tl1 0.6667 0.3333 0.3254 x1
Hg1 0.0000 0.0000 0.5347 x1
Hg2 0.3333 0.6667 0.1532 x1
Pb1 0.3333 0.6667 0.6764 x1


[4]
Computed X-ray powder pattern of Ce8Ir2Ru3 for a wavelength of 1.5418 Å, from a structure optimized by DFT (GGA-PBE).
Kinematic intensities with the Lorentz-polarization factor, no thermal factor.

Most intense lines, 5 to 70 degrees two-theta, by angle:
14.4°, I 28, (0 0 1); 26.5°, I 21, (2 2 0); 31.5°, I 54, (4 0 -2); 32.5°, I 100, (2 2 1); 44.3°, I 34, (6 2 -1); 46.7°, I 33, (0 4 0); 47.5°, I 33, (2 2 -3); 57.4°, I 16, (4 4 -2)

Atomic structure:
Cell lengths 14.404, 7.781, 6.607 Å; angles 90.00, 111.23, 90.00 degrees
Space group C2/m (No. 12)
Inequivalent atoms, fractional coordinates:
Ce1 0.111 0.000 0.242 x4
Ce2 0.115 0.258 0.760 x8
Ce3 0.154 0.500 0.277 x4
Ir1 0.243 0.000 0.024 x4
Ru1 0.000 0.000 0.500 x2
Ru2 0.000 0.304 0.000 x4
*/
End of the records of crystals >
#10 | Posted by rstybeach11"
Nothing you posted addressed a single claim I made in my original posting. So, let's test the claims and you can then prove me wrong:
What is the per capita murder rate for black males?
What is the per capita murder rate for black females?
What is the per capita murder rate for white males?
Please, bring actual data to the discussion.
"@#20 ... Because as the data clearly points out, we have a racial/cultural problem. ...
Thank-you for admitting that."
I said we had a culture problem from my very first post moron.
"And, now can we get back to the question I have been intimating? ...
Why do we have a racial/cultural problem?"
Why do you think? Why do blacks shoot and murder people at rates multitudes higher than whites?
"It is easy to highlight a problem.
Symptoms are obvious. Solutions, more difficult."
Well, the first step to a solution is admitting that we have a problem. Do you now want to admit this is a problem in black American almost exclusively?
"So, how does your current alias propose we resolve that racial/cultural problem?"
Step 1 would be to actually enforce the law in deep blue -------- cities. Stop and Frisk in NYC worked wonders. Second would be locking up gun violence offenders for way longer sentences so they are not able to re-offend. 3-strike laws had a huge positive influence in making the cities safe. Third, we could enforce the border to finally tackle our drug problem and the violence that goes with it. Forth, we could turn back 60 years of Democrat policies which encouraged black women to have kids without a father around to raise the kid. So, those are some normal solutions that don't involve stripping the rights away from law-abiding people.
"What should we do differently to find a solution to the racial/cultural problem your current alias highlights?
#23 | Posted by LampLighter"
I would also think deporting Obama would make a huge positive step.